(File)
+++
This record from OMol25 describes a 2-piece molecular cluster, C6H12FN overall at a distorted geometry. The level of theory is ωB97M-V/def2-TZVPD.

As for the SMILES: C=C(C)C(=C)C.NF. The charge is 0. Its relative energy (zero: lowest compared OMol25 entry of this formula, charge and spin) is 423.3 kJ/mol. The highest occupied orbital energy comes out at -9.3 eV. The LUMO energy is 0.9 eV. The calculation puts the HOMO-LUMO gap at 0.377 hartree.

Atoms and positions in Å:
C -1.5697 0.2495 0.5285
C -0.3422 0.4131 0.0495
C 0.8377 0.4254 0.9983
C 0.0179 0.1026 -1.3741
C 0.1386 -1.1738 -1.7032
C 0.4802 1.1326 -2.2588
H -1.5491 0.5037 1.6041
H -2.5502 0.0621 -0.0248
H 1.2871 -0.5410 0.8891
H 0.5628 0.5385 2.0217
H 1.7031 1.1402 0.7151
H 0.4083 -1.4748 -2.7287
H 0.0107 -1.9154 -0.9371
H 0.4929 0.6311 -3.2363
H 1.4757 1.3364 -1.9033
H -0.0530 2.0657 -2.3982
N 0.8393 -2.5741 1.5813
F 1.3567 -2.8507 2.8123
H -0.1815 -2.2886 1.5292
H 1.0974 -3.3613 0.9500



This record from OMol25 describes C22H17Cl2F13N4OZr as an isolated structure. The level of theory is ωB97M-V/def2-TZVPD.

The charge is 0. Its relative energy (zero: lowest compared OMol25 entry of this formula, charge and spin) is 48.9 kJ/mol. The highest occupied orbital energy comes out at -7.5 eV. The LUMO energy is 0.4 eV. The calculation puts the HOMO-LUMO gap at 0.288 hartree.

Atoms and positions in Å:
Zr -0.0139 -0.2823 0.0803
C 0.8743 3.0315 0.4932
N 0.1934 2.0129 1.2977
C 0.7610 2.0154 2.6475
C -1.2554 2.2704 1.3747
C -1.9007 2.2707 -0.0075
N -1.2867 1.2209 -0.8105
C -1.3478 1.3466 -2.1823
C -0.2283 0.9680 -2.9242
F 0.8610 0.5536 -2.2144
C -0.1697 1.0198 -4.2961
F 0.9527 0.6398 -4.9163
C -1.2514 1.4796 -5.0235
C -2.3668 1.8792 -4.3153
F -3.4466 2.3207 -4.9725
C -2.4249 1.8170 -2.9333
F -3.5653 2.1730 -2.3184
H 0.7209 4.0328 0.9171
H 0.5058 3.0194 -0.5306
H 1.9413 2.8167 0.4780
H 0.6332 2.9974 3.1213
H 1.8251 1.7908 2.5940
H 0.2689 1.2592 3.2515
H -1.4560 3.2261 1.8780
H -1.6874 1.4801 1.9973
H -1.7586 3.2445 -0.4896
H -2.9792 2.1378 0.1145
H -1.2280 1.5212 -6.1020
Cl 2.9892 -3.3560 -1.8823
C 1.3477 -3.4176 -2.4800
C 1.0813 -4.2113 -3.5785
C -0.2055 -4.2807 -4.0956
C -1.2163 -3.5340 -3.5044
C -0.9077 -2.7471 -2.4150
Cl -2.1460 -1.7529 -1.6870
C 0.3690 -2.6455 -1.8287
N 0.5706 -1.8641 -0.7449
H 1.8872 -4.7750 -4.0285
H -0.4165 -4.9028 -4.9538
H -2.2265 -3.5546 -3.8889
F -3.2261 -2.6612 3.1272
C -2.5418 -1.6006 2.6983
F -2.8916 -0.5474 3.4504
F -2.9196 -1.3295 1.4462
C -1.0068 -1.8220 2.7487
O -0.3915 -0.8633 2.0082
C -0.5085 -1.6868 4.2252
F -1.2624 -2.3559 5.0997
F -0.4974 -0.4044 4.6032
F 0.7501 -2.1392 4.3246
C -0.6676 -3.2640 2.2408
F -0.9340 -4.1902 3.1728
F -1.3646 -3.5697 1.1490
F 0.6335 -3.3522 1.9481
C 3.5289 -2.0291 1.3920
C 2.8653 -0.8145 0.9681
N 2.3114 0.1252 0.6082
H 4.5848 -1.9642 1.1332
H 3.0665 -2.8547 0.8500
H 3.4068 -2.1683 2.4643



This record from OMol25 describes C24H30ClN2O6PW as an isolated structure at a distorted geometry. The level of theory is ωB97M-V/def2-TZVPD.

The expectation value of S² is 2.014. The charge is +2. The multiplicity is 3. Its relative energy (zero: lowest compared OMol25 entry of this formula, charge and spin) is 0.0 kJ/mol. The highest occupied orbital energy (spin up / spin down) comes out at -14.1 / -14.4 eV. The LUMO energy (spin up / spin down) is -7.0 / -7.4 eV. The calculation puts the HOMO-LUMO gap (spin up / spin down) at 0.261 / 0.256 hartree.

Atoms and positions in Å:
W -0.6253 -0.1532 -0.1027
Cl 5.7539 3.0976 1.7698
C 4.2140 2.5617 1.2288
C 3.4035 3.4129 0.4723
C 2.1608 3.0056 0.0174
C 1.7221 1.7393 0.3326
O 0.5222 1.3107 -0.1089
C 2.5091 0.8790 1.0896
C 2.0724 -0.4425 1.3770
N 0.9337 -0.9685 1.0626
C 0.7700 -2.3752 1.3403
C 1.4023 -3.0909 2.3084
C 1.2321 -4.4952 2.3668
C 0.4589 -5.1465 1.4503
C -0.2286 -4.4095 0.4564
C -1.0463 -4.9846 -0.5418
C -1.6682 -4.1821 -1.4549
C -1.5204 -2.7958 -1.3619
N -0.7767 -2.2252 -0.4354
C -0.0943 -3.0201 0.4472
C 3.7752 1.2966 1.5314
H 3.7601 4.4082 0.2351
+++
(Exercise)
Give back every line earlier on that contains the word "record".
(Worked solution)
This record from OMol25 describes a 2-piece molecular cluster, C6H12FN overall at a distorted geometry. The level of theory is ωB97M-V/def2-TZVPD.
This record from OMol25 describes C22H17Cl2F13N4OZr as an isolated structure. The level of theory is ωB97M-V/def2-TZVPD.
This record from OMol25 describes C24H30ClN2O6PW as an isolated structure at a distorted geometry. The level of theory is ωB97M-V/def2-TZVPD.